This shop has been compensated by Collective Bias, Inc. and its advertiser. All opinions are mine alone. #SuperAbsorbent #CollectiveBias
Over the weekend, Shane turned 7! While it sometimes seems like he was a baby just yesterday, sometimes it’s clear just how far we have all come. Shane has grown so much, from learning to walk and talk to learning to read and finding a love of video games. Justin and I have grown a lot too- seven years ago we were brand new to this whole parenting thing, and now we feel like old pros!
Of course there are many parenting challenges still ahead for us, but having raised two boys to toddlerhood {and beyond, in Shane’s case} we have found ourselves to be the “experienced” parents that our friends come to with questions! Whether we’re sharing tips on getting babies to sleep or sharing products we wish we would have known about {little Huggies Little Snugglers Plus and Huggies Little Movers Plus at Costco} we love sharing tips about things we wish we would have known all that time ago!
There are some things I’ve learned along the way that I always suggest to new parents that ask us for advice. There are a few things that would have made my life easier, if only I would have known! If I could go back in time and tell 2009 me what I know now, I would tell myself to take the advice that everyone gave me to sleep when Shane slept- I was more or less a walking zombie for the first year or so.
I also wish I would have known that watching your baby hit milestones shouldn’t be a rush- not only will kids reach milestones on their own schedule, but you’ll be up for new challenges once they do! A mobile baby means a baby who can get into anything & everything, and I would have enjoyed that pre-crawling time much more if I wasn’t waiting anxiously for him to get moving.
Another big thing I wish I could tell my new-mom self is a trick I picked up when Zac came around- to keep most of my on-the-go necessities in the car! When I would bring Shane places as a baby, I would carry half the house with me in the diaper bag. I always worried that I would need something while I was out and I wouldn’t be able to get it.
However, I found it difficult to get around with a giant diaper bag on one shoulder and a squirmy toddler on the opposite hip- and my neck was constantly hurting from the weight of it! When I had Zac, I knew I couldn’t do that again. It was hard enough to do that with one baby- trying to do it with a baby and a preschooler was going to be next to impossible. So instead, I took a minute to prioritize what I needed- and where.
While we didn’t know about them when Shane was little, we’ve been stocking up on Little Movers Plus for Zac for a long time and we absolutely love them. Little Movers Plus diapers come in sizes 3-6 and are perfect for babies always on the go {like Zac}! They have Double Grip Strips to help them stay on the most active babies, and Leak Lock which keeps them dry for up to 12 hours.Have a younger baby? Little Snugglers Plus diapers come in Sizes Newborn, 1, and 2 and are designed to keep baby’s skin clean and healthy. They are the softest Huggies diapers and also have Leak Lock Protection, so you don’t have to worry as much about accidents.
Huggies Little Snugglers Plus and Huggies Little Movers Plus are only available at Costco. You can stock up with a large box for a great price and even better, there’s a sale going on next month:
The article is interrupted by crystal structures:
~~~
A plane-wave DFT calculation with GGA+U was carried out for a geometry-optimized MnTl3O6 structure.

Geometry as extended XYZ:
```
20
Lattice="4.679 2.701 3.792 -4.679 2.701 3.792 0.000 -5.403 3.792" Properties=species:S:1:pos:R:3 pbc="T T T"
Mn 0.000 0.000 0.000
Mn 0.000 0.000 5.688
Tl -3.257 -0.892 5.181
Tl -0.856 -3.267 6.195
Tl -2.401 2.375 6.195
Tl 2.401 -2.375 5.181
Tl 0.856 3.267 5.181
Tl 3.257 0.892 6.195
O -3.039 -2.885 6.249
O -4.018 1.189 5.128
O -1.055 -1.300 4.625
O 0.979 -4.074 5.128
O -1.653 0.263 6.751
O -0.598 1.563 4.625
O 0.598 -1.563 6.751
O 1.653 -0.263 4.625
O -0.979 4.074 6.249
O 1.055 1.300 6.751
O 4.018 -1.189 6.249
O 3.039 2.885 5.128
```

Calculated density = 8.82 g/cm³
Raw total energy = -5.30 eV per atom
Space group = No. 148

=====

Material: BaEr2Te4
Method: DFT, PBEsol
State: optimized geometry

Values from the calculation:
Energy relative to the elements, uncorrected ... -1510 meV per atom
Final energy ... -146.72 eV per cell
M_tot ... 0.00 μB/cell
ρ ... 6.904 g/cm3

Cell and atoms, written as POSCAR:
```
BaEr2Te4
1.0
13.5114 0.0000 0.0000
0.0000 4.3842 0.0000
0.0000 0.0000 15.9538
Ba Er Te
4 8 16
Cartesian
3.2175 1.0961 2.7234
3.5382 3.2882 10.7003
9.9732 1.0961 5.2535
10.2939 3.2882 13.2304
0.7930 1.0961 6.2367
1.0852 1.0961 14.4222
5.6704 3.2882 6.4453
5.9627 3.2882 14.2136
7.5487 1.0961 1.7401
7.8409 1.0961 9.5085
12.4261 3.2882 1.5316
12.7184 3.2882 9.7170
0.3679 3.2882 12.5046
1.2317 1.0961 9.1993
1.7322 3.2882 0.4531
2.7690 3.2882 5.4507
3.9867 1.0961 13.4276
5.0235 1.0961 8.4300
5.5240 3.2882 1.2224
6.3878 1.0961 4.5278
7.1236 3.2882 11.4260
7.9874 1.0961 14.7313
8.4879 3.2882 7.5238
9.5247 3.2882 2.5262
10.7424 1.0961 10.5031
11.7791 1.0961 15.5007
12.2797 3.2882 6.7544
13.1435 1.0961 3.4491
```

=====

This record from Alexandria via LeMat-Bulk describes a relaxed Cd2CuHg crystal. The functional is GGA-PBEsol.

It has space group P4/mmm (No. 123), with a = 3.053 Å, b = 3.053 Å, c = 7.926 Å, α = 90.00°, β = 90.00° and γ = 90.00°. The inequivalent atoms are Cd at (0.000, 0.000, 0.211), Cu at (0.500, 0.500, 0.000) and Hg at (0.500, 0.500, 0.500).

For the energy of formation, the calculation gives 53 meV/atom.


This record from Alexandria via LeMat-Bulk describes a relaxed K2BHI crystal. The functional is GGA-PBEsol.

It has space group P4/mmm (No. 123), with a = 5.857 Å, b = 5.857 Å, c = 3.566 Å, α = 90.00°, β = 90.00° and γ = 90.00°. The inequivalent atoms are K at (0.000, 0.500, 0.000), B at (0.000, 0.000, 0.500), H at (0.000, 0.000, 0.000) and I at (0.500, 0.500, 0.500).

The value obtained for the energy is -12.98 eV per formula unit.


This record from Alexandria via LeMat-Bulk describes a relaxed TiSnOs3 crystal. The functional is GGA-PBEsol.

It has space group Pm-3m (No. 221), with a = 4.521 Å, b = 4.521 Å, c = 4.521 Å, α = 90.00°, β = 90.00° and γ = 90.00°. The inequivalent atoms are Ti at (0.000, 0.000, 0.000), Sn at (0.500, 0.500, 0.500) and Os at (0.000, 0.000, 0.500).
~~~
-Little Snugglers Plus (Sizes 1 & 2) – $37.49, $31.49 after $6 discount and Free shipping (this offer valid 9/1 to 9/25)
********
w.
Al2TlFe2 | GGA-PBE | optimized geometry

Calculated values
DOS at the Fermi energy, states/eV/f.u.: 7.77

Cell lengths 3.6968, 3.6968, 11.6197 Å; angles 90.00, 90.00, 90.00 degrees
Closest atoms and distances in Å follow each position.
Space group I4/mmm (No. 139)
Inequivalent atoms, fractional coordinates:
Al (0.0000, 0.5000, 0.2500)  4 Fe 2.54, 4 Al 2.61
Tl (0.0000, 0.0000, 0.0000)  8 Fe 2.86
Fe (0.0000, 0.0000, 0.4000)  1 Fe 2.32, 4 Al 2.54

x.
Al2TlFe2 | GGA-PBE | optimized geometry

Calculated values
DOS at the Fermi energy, states/eV/f.u.: 3.06

Cell lengths 6.9578, 6.9578, 3.1506 Å; angles 90.00, 90.00, 90.00 degrees
Closest atoms and distances in Å follow each position.
Space group P4/mbm (No. 127)
Inequivalent atoms, fractional coordinates:
Al (0.1423, 0.3577, 0.0000)  6 Fe 2.54-2.63, 1 Al 2.80
Tl (0.0000, 0.0000, 0.5000)  4 Fe 2.67
Fe (0.1432, 0.6432, 0.5000)  6 Al 2.54-2.63, 2 Tl 2.67, 1 Fe 2.82

y.
Al2TlFe2 | GGA-PBE | optimized geometry

Calculated values
DOS at the Fermi energy, states/eV/f.u.: 4.28

Cell lengths 7.4534, 7.4534, 2.7643 Å; angles 90.00, 90.00, 90.00 degrees
Closest atoms and distances in Å follow each position.
Space group P4/mbm (No. 127)
Inequivalent atoms, fractional coordinates:
Al (0.1296, 0.3704, 0.0000)  6 Fe 2.58-2.60, 3 Al 2.73-2.76
Tl (0.0000, 0.0000, 0.0000)  2 Tl 2.76, 4 Al 2.92
Fe (0.1614, 0.6614, 0.5000)  6 Al 2.58-2.60, 2 Fe 2.76

Relative stability in kJ/mol of atoms, measured from the most stable structure: w 11.2; x 0.0; y 7.6

~~~~~

Entry from Alexandria via LeMat-Bulk: a relaxed structure of Fe2H2O (PBE+U).

Lattice parameters (Å, degrees): 5.617 5.617 2.973 90.00 90.00 90.00
Space group P4/mbm (No. 127)
Symmetry-distinct sites (fractional):
1 Fe 0.195 0.305 0.000 (multiplicity 4)
2 H 0.139 0.639 0.500 (multiplicity 4)
3 O 0.000 0.000 0.000 (multiplicity 2)

Computed properties:
Offset from the most stable computed form ... 0 meV/atom
E_tot ... -4.72 eV/atom

~~~~~

Record 1
This record from Alexandria via LeMat-Bulk describes a relaxed structure of Zr2MnRe. The functional is GGA-PBE.

Cell and atoms, written as POSCAR:
```
Zr2MnRe
1.0
-1.998 -5.094 -0.470
1.656 -3.847 3.553
-2.423 4.890 -0.612
Zr Mn Re
2 1 1
Direct
0.992 0.992 0.000 Zr
0.261 0.761 0.500 Zr
0.515 0.515 0.000 Mn
0.733 0.233 0.500 Re
```

Calculated values
- Symmetry: Imm2 (44)
- Calculated density: 10.15 Mg/m³
- DOS at the Fermi energy: 2.68 states/eV per cell
- Uncorrected energy: -9.73 eV per atom
- ΔE_f: -53.1 meV per atom



Record 2
This record from Alexandria via LeMat-Bulk describes a relaxed structure of AcTmSi2Ni2. The functional is GGA-PBE.

Cell and atoms, written as POSCAR:
```
AcTmSi2Ni2
1.0
4.061 0.000 0.000
-2.030 3.517 0.000
0.000 0.000 8.275
Ni Ac Tm Si
2 1 1 2
Direct
0.333 0.667 0.717 Ni
0.667 0.333 0.283 Ni
0.000 0.000 0.000 Ac
0.000 0.000 0.500 Tm
0.333 0.667 0.276 Si
0.667 0.333 0.724 Si
```

Calculated values
- Symmetry: P-3m1 (164)
- Formation energy from raw total energies: -69 kJ/mol of atoms
********
-Little Movers Plus (Size 3, 4, 5, & 6) – $42.99, $36.99 after $6 discount and Free shipping (this offer valid 9/1 –to 9/25)
-Starting in August Little Snugglers Plus will also be available in size Newborn starting – $29.99 available in select warehouses and online at